____________
No. 1
# Rb4U3PaO12 PBE-GGA relaxed
data_Rb4U3PaO12
_chemical_formula_sum 'Rb8 U6 Pa2 O24'
_symmetry_space_group_name_H-M 'I m -3 m'
_symmetry_Int_Tables_number 229
_symmetry_space_group_name_Hall '-I 4 2 3'
_cell_length_a 8.745
_cell_length_b 8.745
_cell_length_c 8.745
_cell_angle_alpha 90.00
_cell_angle_beta 90.00
_cell_angle_gamma 90.00
loop_
_atom_site_label
_atom_site_type_symbol
_atom_site_fract_x
_atom_site_fract_y
_atom_site_fract_z
Rb1 Rb 0.250 0.250 0.250
U1 U 0.000 0.000 0.500
Pa1 Pa 0.000 0.000 0.000
O1 O 0.000 0.000 0.251
O2 O 0.000 0.250 0.500
# E_form (uncorrected) ... -2940.1 meV per atom
# Total magnetization ... 6.0 μB/cell
# Density of states at the Fermi level ... 0.58 states/eV/f.u.
# Theoretical density ... 7.3 g/cm³
# Crystal system ... cubic
# Volume ... 16.72 A^3/atom

=====

No. 2
# Tl2PbSe4 PBE-GGA relaxed
data_Tl2PbSe4
_chemical_formula_sum 'Tl2 Pb1 Se4'
_symmetry_space_group_name_H-M 'P -4 2 m'
_symmetry_Int_Tables_number 111
_symmetry_space_group_name_Hall 'P -4 2'
_cell_length_a 6.050
_cell_length_b 6.050
_cell_length_c 6.889
_cell_angle_alpha 90.00
_cell_angle_beta 90.00
_cell_angle_gamma 90.00
loop_
_atom_site_label
_atom_site_type_symbol
_atom_site_fract_x
_atom_site_fract_y
_atom_site_fract_z
Tl1 Tl 0.000 0.500 0.000
Pb1 Pb 0.000 0.000 0.500
Se1 Se 0.278 0.278 0.758
# E_form (uncorrected) ... -207.8 meV per atom
# Total magnetization ... 0.0 μB/cell
# Density of states at the Fermi level ... 1.12 states/eV/f.u.
# Theoretical density ... 6.1 g/cm³
# Crystal system ... tetragonal
# Volume ... 36.03 A^3/atom

=====

No. 3
# Na2HgPbI4 PBE-GGA relaxed
data_Na2HgPbI4
_chemical_formula_sum 'Na4 Hg2 Pb2 I8'
_symmetry_space_group_name_H-M 'C 1 2/m 1'
_symmetry_Int_Tables_number 12
_symmetry_space_group_name_Hall '-C 2y'
_cell_length_a 15.227
_cell_length_b 4.694
_cell_length_c 9.290
_cell_angle_alpha 90.00
_cell_angle_beta 107.55
_cell_angle_gamma 90.00
loop_
_atom_site_label
_atom_site_type_symbol
_atom_site_fract_x
_atom_site_fract_y
_atom_site_fract_z
Na1 Na 0.224 0.000 0.220
Hg1 Hg 0.000 0.500 0.000
Pb1 Pb 0.000 0.000 0.500
I1 I 0.129 0.500 0.418
I2 I 0.153 0.000 0.831
# E_form (uncorrected) ... -806.2 meV per atom
# Total magnetization ... 0.0 μB/cell
# Density of states at the Fermi level ... 0.00 states/eV/f.u.
# Theoretical density ... 5.0 g/cm³
# Crystal system ... monoclinic
# Volume ... 39.57 A^3/atom

=====

No. 4
# Hg2HRh PBE-GGA relaxed
data_Hg2HRh
_chemical_formula_sum 'Hg4 H2 Rh2'
_symmetry_space_group_name_H-M 'P 63/m m c'
_symmetry_Int_Tables_number 194
_symmetry_space_group_name_Hall '-P 6c 2c'
_cell_length_a 3.1889
_cell_length_b 3.1889
_cell_length_c 14.0151
_cell_angle_alpha 90.00
_cell_angle_beta 90.00
_cell_angle_gamma 120.00
loop_
_atom_site_label
_atom_site_type_symbol
_atom_site_fract_x
_atom_site_fract_y
_atom_site_fract_z
Hg1 Hg 0.3333 0.6667 0.0901
H1 H 0.3333 0.6667 0.7500
Rh1 Rh 0.0000 0.0000 0.2500
# Total magnetization ... 0.0 μB/cell
# Density of states at the Fermi level ... 1.11 states/eV/f.u.
# Theoretical density ... 13.6 g/cm³
# Crystal system ... hexagonal
# Volume ... 15.43 A^3/atom
# Offset from the most stable computed form ... 0 meV per atom

=====

No. 5
# NiS2BrCl PBE-GGA relaxed
data_NiS2BrCl
_chemical_formula_sum 'Ni1 S2 Br1 Cl1'
_symmetry_space_group_name_H-M 'P 4/m m m'
_symmetry_Int_Tables_number 123
_symmetry_space_group_name_Hall '-P 4 2'
_cell_length_a 4.557
_cell_length_b 4.557
_cell_length_c 4.554
_cell_angle_alpha 90.00
_cell_angle_beta 90.00
_cell_angle_gamma 90.00
loop_
_atom_site_label
_atom_site_type_symbol
_atom_site_fract_x
_atom_site_fract_y
_atom_site_fract_z
Ni1 Ni 0.000 0.000 0.000
S1 S 0.000 0.500 0.000
Br1 Br 0.500 0.500 0.500
Cl1 Cl 0.000 0.000 0.500
# E_form (uncorrected) ... 412.1 meV per atom
# Total magnetization ... 0.0 μB/cell
# Density of states at the Fermi level ... 5.93 states/eV/f.u.
# Theoretical density ... 4.2 g/cm³
# Crystal system ... tetragonal
# Volume ... 18.91 A^3/atom
____________

Print only the last part of the material earlier on, starting with the line that has "data_Rb4U3PaO12".

data_Rb4U3PaO12
_chemical_formula_sum 'Rb8 U6 Pa2 O24'
_symmetry_space_group_name_H-M 'I m -3 m'
_symmetry_Int_Tables_number 229
_symmetry_space_group_name_Hall '-I 4 2 3'
_cell_length_a 8.745
_cell_length_b 8.745
_cell_length_c 8.745
_cell_angle_alpha 90.00
_cell_angle_beta 90.00
_cell_angle_gamma 90.00
loop_
_atom_site_label
_atom_site_type_symbol
_atom_site_fract_x
_atom_site_fract_y
_atom_site_fract_z
Rb1 Rb 0.250 0.250 0.250
U1 U 0.000 0.000 0.500
Pa1 Pa 0.000 0.000 0.000
O1 O 0.000 0.000 0.251
O2 O 0.000 0.250 0.500
# E_form (uncorrected) ... -2940.1 meV per atom
# Total magnetization ... 6.0 μB/cell
# Density of states at the Fermi level ... 0.58 states/eV/f.u.
# Theoretical density ... 7.3 g/cm³
# Crystal system ... cubic
# Volume ... 16.72 A^3/atom

=====

No. 2
# Tl2PbSe4 PBE-GGA relaxed
data_Tl2PbSe4
_chemical_formula_sum 'Tl2 Pb1 Se4'
_symmetry_space_group_name_H-M 'P -4 2 m'
_symmetry_Int_Tables_number 111
_symmetry_space_group_name_Hall 'P -4 2'
_cell_length_a 6.050
_cell_length_b 6.050
_cell_length_c 6.889
_cell_angle_alpha 90.00
_cell_angle_beta 90.00
_cell_angle_gamma 90.00
loop_
_atom_site_label
_atom_site_type_symbol
_atom_site_fract_x
_atom_site_fract_y
_atom_site_fract_z
Tl1 Tl 0.000 0.500 0.000
Pb1 Pb 0.000 0.000 0.500
Se1 Se 0.278 0.278 0.758
# E_form (uncorrected) ... -207.8 meV per atom
# Total magnetization ... 0.0 μB/cell
# Density of states at the Fermi level ... 1.12 states/eV/f.u.
# Theoretical density ... 6.1 g/cm³
# Crystal system ... tetragonal
# Volume ... 36.03 A^3/atom

=====

No. 3
# Na2HgPbI4 PBE-GGA relaxed
data_Na2HgPbI4
_chemical_formula_sum 'Na4 Hg2 Pb2 I8'
_symmetry_space_group_name_H-M 'C 1 2/m 1'
_symmetry_Int_Tables_number 12
_symmetry_space_group_name_Hall '-C 2y'
_cell_length_a 15.227
_cell_length_b 4.694
_cell_length_c 9.290
_cell_angle_alpha 90.00
_cell_angle_beta 107.55
_cell_angle_gamma 90.00
loop_
_atom_site_label
_atom_site_type_symbol
_atom_site_fract_x
_atom_site_fract_y
_atom_site_fract_z
Na1 Na 0.224 0.000 0.220
Hg1 Hg 0.000 0.500 0.000
Pb1 Pb 0.000 0.000 0.500
I1 I 0.129 0.500 0.418
I2 I 0.153 0.000 0.831
# E_form (uncorrected) ... -806.2 meV per atom
# Total magnetization ... 0.0 μB/cell
# Density of states at the Fermi level ... 0.00 states/eV/f.u.
# Theoretical density ... 5.0 g/cm³
# Crystal system ... monoclinic
# Volume ... 39.57 A^3/atom

=====

No. 4
# Hg2HRh PBE-GGA relaxed
data_Hg2HRh
_chemical_formula_sum 'Hg4 H2 Rh2'
_symmetry_space_group_name_H-M 'P 63/m m c'
_symmetry_Int_Tables_number 194
_symmetry_space_group_name_Hall '-P 6c 2c'
_cell_length_a 3.1889
_cell_length_b 3.1889
_cell_length_c 14.0151
_cell_angle_alpha 90.00
_cell_angle_beta 90.00
_cell_angle_gamma 120.00
loop_
_atom_site_label
_atom_site_type_symbol
_atom_site_fract_x
_atom_site_fract_y
_atom_site_fract_z
Hg1 Hg 0.3333 0.6667 0.0901
H1 H 0.3333 0.6667 0.7500
Rh1 Rh 0.0000 0.0000 0.2500
# Total magnetization ... 0.0 μB/cell
# Density of states at the Fermi level ... 1.11 states/eV/f.u.
# Theoretical density ... 13.6 g/cm³
# Crystal system ... hexagonal
# Volume ... 15.43 A^3/atom
# Offset from the most stable computed form ... 0 meV per atom

=====

No. 5
# NiS2BrCl PBE-GGA relaxed
data_NiS2BrCl
_chemical_formula_sum 'Ni1 S2 Br1 Cl1'
_symmetry_space_group_name_H-M 'P 4/m m m'
_symmetry_Int_Tables_number 123
_symmetry_space_group_name_Hall '-P 4 2'
_cell_length_a 4.557
_cell_length_b 4.557
_cell_length_c 4.554
_cell_angle_alpha 90.00
_cell_angle_beta 90.00
_cell_angle_gamma 90.00
loop_
_atom_site_label
_atom_site_type_symbol
_atom_site_fract_x
_atom_site_fract_y
_atom_site_fract_z
Ni1 Ni 0.000 0.000 0.000
S1 S 0.000 0.500 0.000
Br1 Br 0.500 0.500 0.500
Cl1 Cl 0.000 0.000 0.500
# E_form (uncorrected) ... 412.1 meV per atom
# Total magnetization ... 0.0 μB/cell
# Density of states at the Fermi level ... 5.93 states/eV/f.u.
# Theoretical density ... 4.2 g/cm³
# Crystal system ... tetragonal
# Volume ... 18.91 A^3/atom